This Week in AML

Partnering to Fight Human Trafficking

Written by AML RightSource | Jun 23, 2023

The US Department of State has issued its 2023 Trafficking in Persons report. The theme of this year’s report is partnerships. John and Elliot discuss key elements of the report and its value to the financial crime prevention community.



Partnering to Fight Human Trafficking - TRANSCRIPT

Elliot Berman: John, how are you today?

John Byrne: I'm good, Elliot. How are things with you?

Elliot Berman: Things are good. We've had a nice stretch of weather and, it's the beginning of post school summertime, so our granddaughters are out and about doing summer things, and we're just enjoying every day. And you?

John Byrne: Yeah we're dealing with some fun stuff. My son's impending wedding in September, and because he doesn't like to do things early, the invitations just came out. Fortunately, everybody that we know already knew this was happening in the date. But, let's just say some people don't have the same time sensitivities as others.

But that's obviously good news. A lot of things going on this week and late last week. FATF is meeting with its plenary. So we'll obviously be commenting on that next week, but more importantly, we're going to be doing a webinar on the themes coming out of this June plenary in July. A lot there.

I also want to say, I just saw this morning, but House Financial Services on the Democratic side, Ranking Member Waters and several others from that side of the aisle have introduced a series of bills dealing with the fallout from Silicon Valley Bank and Silvergate to clawback bonuses for those that were running these institutions and amplifying the ban from banking if they can show, some involvement in the failure. It may be that these proposals don't go very far, given that the Democrats don't control the House, but five or six bills today that I thought were pretty interesting. And some of them potentially could get bipartisan support. So we'll be watching that and see if it's worthy of us commenting later on in the year.

Elliot Berman: Yes, I think there's also some bipartisan effort on similar themes going on in the Senate. So this might have a little bit of legs.

John Byrne: I think so. I know what we want to talk about today is the 2023 Trafficking in Persons Report from the State Department, close to 100 page document.

Obviously, it's an annual report. And as our community well knows, human trafficking and human smuggling and forced labour are all issues that have financial components. When these reports get issued it's important to not only see what the priorities are in a particular year, but look for some elements in the report that could conceivably be used as training.

I know you took a look at that and read through it and you may actually write a blog on this going forward.

Elliot Berman: Yes. And we posted a blog last year for the 2022 report. And one of the themes there was including victims in the conversation. And this year the theme is partnerships, but one of the elements of partnership, is to bring victims in and recognize them as experts who have inside understanding that's useful to the overall conversation is part of the partnership discussion in this year's report.

John Byrne: Right. And I think referencing another aspect of partnership which is partnerships to further investigations, which I'll reference in a second. Polaris has done a really good job that's obviously the U. S. based NGO that we've worked with, and we've interviewed folks from there.

They have been utilizing several survivors as experts at Polaris, both from a training perspective, but also to work with their own FIU. I think that having this report identify value that survivors have to improving deterrence and due diligence, I think, makes a lot of sense

Elliot Berman: Agreed.

John Byrne: Just quickly then, the section on that part of partnership and everybody should obviously read the report. There's a whole host of partnering organizations and entities that they reference, but going back to one that we're very familiar with is the ones that financial investigations are enabled through partnering. And they talk about, several things, but they say, financial activities that support trafficking operations, payments associated with hotels and plane tickets. And obviously. The hotel industry and the airline industry have also been active in the anti-trafficking space.

Collection of proceeds when you exploit a trafficking victim, sale of goods, all those sorts of things. And they mentioned specifically something that we've talked about a couple of years that Polaris that I just mentioned, they partnered with PayPal and they did create that FIU.

And that takes the AML banking and law enforcement communities together to figure out ways to interrupt traffickers' cash flows. They have meetings, they do reports. And so this is a really good example of partnership in our industry, which again we're very familiar with, but I think it's good.

And then just quickly the other one that struck me, they offered recommendations on partnering to advance technology and innovation. And that can be done with multidiscipline stakeholders, private sector, cyber experts there in the government and all that. And again it's, I think, an important identifying factor, which we're generally aware of, but they talk about something called the Tech Against Trafficking Initiative that was formed in 2018.

Next to the piece, the page also holds calculated molecules
Entry from OMol25: a cluster of 5 separate species, C6H23NO5 in total in a non-equilibrium geometry (ωB97M-V with the def2-TZVPD basis set).

XYZ file:
```
35
Properties=species:S:1:pos:R:3:nbo_charge:R:1
C -1.818 2.537 0.767 -0.625
C -1.810 1.505 -0.359 -0.238
N -0.582 0.700 -0.330 -0.470
C -0.877 -0.731 -0.116 -0.218
C -1.569 -0.985 1.231 -0.638
C 0.245 0.908 -1.525 -0.245
C 1.749 0.694 -1.272 -0.079
O 2.247 -0.301 -2.180 -0.718
H -2.616 3.256 0.570 0.211
H -2.055 2.160 1.759 0.224
H -0.886 3.069 0.923 0.201
H -2.725 0.948 -0.214 0.191
H -1.965 2.002 -1.312 0.194
H 0.037 -1.310 -0.293 0.190
H -1.451 -1.078 -0.999 0.157
H -2.237 -0.166 1.431 0.224
H -0.719 -1.179 1.879 0.220
H -2.238 -1.842 1.154 0.210
H -0.112 0.230 -2.313 0.172
H 0.064 1.937 -1.810 0.207
H 1.903 0.374 -0.240 0.177
H 2.334 1.583 -1.485 0.194
H 1.675 -1.063 -2.077 0.448
O -0.709 -4.366 0.374 -0.925
H -0.279 -3.842 -0.317 0.472
H -1.484 -3.798 0.502 0.455
O -0.406 1.477 3.178 -0.954
H -0.238 0.758 3.794 0.477
H -0.355 1.067 2.301 0.482
O 1.634 3.115 1.766 -0.952
H 1.093 3.005 0.984 0.460
H 1.237 2.565 2.452 0.489
O 1.593 -3.680 -2.122 -0.938
H 2.540 -3.562 -1.989 0.478
H 1.433 -3.056 -2.842 0.464
```

The LUMO energy comes out at 0.37 eV. The SMILES is CCN(CC)CCO.O.O.O.O. As for the net charge: 0. For the HOMO energy, the calculation gives -9.24 eV. The value obtained for the electronic energy is -673.30333 hartree. The value obtained for the orbital gap is 9.6 eV.

Entry from OMol25: a cluster of 7 separate species, C45H100N4O7 in total in a non-equilibrium geometry (ωB97M-V with the def2-TZVPD basis set).

XYZ file:
```
156
Properties=species:S:1:pos:R:3:mulliken_charge:R:1
C -4.128 -4.636 0.724 -1.823
C -2.865 -5.487 0.776 1.774
C -3.231 -6.885 1.359 -1.701
C -2.343 -5.640 -0.652 -1.138
C -0.888 -6.068 -0.771 -1.001
C -0.031 -5.199 0.144 0.018
C -0.471 -5.258 1.620 1.524
C -0.184 -6.641 2.214 -1.824
C 0.356 -4.193 2.344 -1.325
N -1.869 -4.816 1.603 1.294
O -2.388 -4.655 2.924 -0.616
H -3.811 -3.627 0.431 -0.017
H -4.758 -5.059 -0.056 0.566
H -4.589 -4.534 1.702 0.460
H -2.874 -7.044 2.373 0.271
H -4.310 -7.041 1.382 0.425
H -2.792 -7.665 0.731 0.340
H -2.986 -6.383 -1.132 0.551
H -2.454 -4.695 -1.196 0.003
H -0.761 -7.088 -0.397 0.301
H -0.540 -6.027 -1.801 0.471
H -0.038 -4.162 -0.201 -0.168
H 1.004 -5.562 0.155 -0.214
H 0.888 -6.753 2.367 0.415
H -0.506 -7.448 1.558 0.402
H -0.710 -6.736 3.165 0.331
H 1.326 -4.635 2.623 0.268
H -0.053 -3.933 3.319 0.482
H 0.647 -3.376 1.690 -0.248
H -2.350 -3.698 3.032 0.358
C 7.141 -2.339 2.591 -2.045
C 5.817 -3.022 2.223 1.819
C 5.280 -3.767 3.454 -1.798
C 4.846 -1.891 1.868 -1.387
C 3.604 -2.397 1.176 1.771
C 3.906 -3.338 -0.005 -1.335
C 4.936 -4.431 0.241 1.539
C 4.301 -5.690 0.824 -1.543
C 5.566 -4.781 -1.107 -2.121
N 6.010 -3.902 1.080 0.347
O 6.989 -4.898 1.316 -0.521
H 7.455 -1.718 1.745 0.462
H 7.056 -1.738 3.492 0.329
H 7.981 -3.027 2.722 0.495
H 4.244 -4.073 3.286 0.206
H 5.825 -4.700 3.607 0.351
H 5.305 -3.163 4.361 0.463

And that's a coalition of tech companies that work with non-profits and colleges and international groups to do advance d knowledge sharing or information sharing. So leveraging innovation. Gets called out in this report, and as you mentioned, a whole host of other items there.

The other thing I just wanted to highlight is we've seen this in the general fraud space, but in the report itself, midway through, they talk about human trafficking and cyber scam operations. So they talk about how that occurs. And, where have they seen evidence of that in the various countries?

So again, there's a lot in here that's going to be valuable to any analyst that's at least tangentially involved in looking for human trafficking, smuggling and forced labour. But certainly in general, investigators in our communities, financial investigations, sections of various institutions.

Elliot Berman: Yes. Another one that I thought that was really interesting that they called out is interagency coordination. So they noted that adopting a, as they call it, whole of government approach where you break down the siloed barriers of the various elements of a federal government to get all the right people talking to one another.

Because as we all know, in the US, as with many countries federal law enforcement can be in one or more siloed channels, human services in another, financial service regulation in another And they called out in one section an important discussion about thinking about how do you get all of those folks together in a room. I think that was an interesting call out because when we talk about partnership, it's often public private or getting the NGOs involved or things like that, but not necessarily the government really needs to partner across its own agencies.

John Byrne: And toward the end of the report, they update their list. There is a 3 tier system numbered tier 1, 2 tier 2 there's a watch list. And this is a determination whether these countries in these various tiers where they rank from the metrics regarding a whole series of assessments. And just a couple of those - enactment of laws that prohibit forms of trafficking, criminal penalties by that, victim protection efforts, the extent to which government ensures repatriation and reintegration of victims.

There's a whole series of them there. And as I say, there's three tiers, they don't say that if you're in tier 1 is the highest ranking, but tier 1 doesn't mean you've accomplished everything. But obviously it's as they characterize it they've made efforts to address the problem to meet some of those standards.

So they do have those rankings in the report. So take a look at that. US is in the 1st tier. You'll see where people sit in terms of that, but also there's a list of countries that are not part of any of this. So I, I think that's important to take a look at it. It certainly doesn't mean anything in terms of quote, suspicious activity or what have you, but it does definitely tell you countries that are just simply not part of the collaboration. So I thought that was that continues to be an interesting and important metric.

Elliot Berman: Yes. As with the earlier editions of the report, there is a section called topics of special interest. You mentioned one of them, which is human trafficking and cyber scam operations, but the other three in that section are all, of course, interesting - deceiving the watchdogs, how unscrupulous manufacturers conceal forced labour.

With the increasing focus on third party risk management and supply chain risk management. That's an interesting section to look at. Another section in there is overlooked for too long, boys and human trafficking. A discussion about the fact that often people stereotype human trafficking victims as women, but that globally men and boys are also trafficked, and to really understand the scope of the problem we need to change those historical viewpoints. They talk about how online recruitment is being used to attack vulnerable populations for forced labour. And the last one is protecting victims, the non-punishment principle. And that is a strong case being made for the idea that where trafficked individuals are breaking laws because they're being forced through the trafficking process to do that, that governments find ways to release them from the culpability they would have if they were doing it voluntarily.

John Byrne: So definitions are in here. They did define human trafficking. They defined a concept that I think people will understand, but maybe not by its term. Debt bondage. Debt bondage is focused on human trafficking crimes, which the traffickers primary means of coercion is debt manipulation. So in our laws perpetrators are prohibited from using debts as part of the scheme to compel somebody to engage in commercial sex.

The traffickers will target some individuals with an initial debt that they assumed willingly because they think they're going to have future employment. And then obviously they don't get paid the rate that they anticipated. And then the victim has to assume debts for expenses like food, housing, transportation.

Again, we're well, aware of this area, but the term debt bondage, at least to me, is a new term, but it certainly makes sense. And we've heard a lot from our friends at Polaris that this happens quite frequently.

Elliot Berman: Yes. So we'll link to the report in our posting on our website. And we strongly recommend that you, read through it, as John mentioned, it is a lengthy, but a lot of good resources in there. By the time you hear this podcast on Friday you'll be able to register for the webinar that John mentioned, which will be July 27th, starting at 1 pm Eastern time. So we'd encourage you to do that.

And John, I know you've got a couple of speakers lined up for things that we're going to be posting on the website. One of which is you and Terry Pesce having a conversation about the third party risk management guidance that came out recently. That'll be posted by the time listeners hear this as well.

[What comes next are data records, not part of the text]
┌──
(1)
DFT (ωB97M-V/def2-TZVPD) results for a 11-piece molecular cluster, H22O11 overall in a non-equilibrium geometry.

Summary:
Molar mass, g/mol: 198.16
Gap between HOMO and LUMO, eV: 9.92
LUMO level, eV: -0.537
ΔE to the lowest compared entry with this formula, charge and spin, kJ/mol: 497.6
Multiplicity: 1
Total energy, hartree: -840.6906
HOMO energy, eV: -10.46
SMILES: O.O.O.O.O.O.O.O.O.O.O

```
33
Properties=species:S:1:pos:R:3:mulliken_charge:R:1
O -1.53389 -0.00176 -2.60402 -0.546
O 4.98474 1.20537 -0.41754 -0.640
O -4.31228 1.56708 1.01519 -0.643
O -3.64323 -1.44208 -1.88809 -0.638
O -1.20684 -2.79219 3.45813 -0.611
O 2.58725 -0.94032 -0.22990 -0.609
O 4.14699 -0.35395 3.38940 -0.587
O -0.83436 -2.13367 -2.75166 -0.561
O -0.02626 0.73892 0.83198 -0.652
O 2.26422 0.17612 2.23391 -0.547
O -2.29670 3.06308 -1.82006 -0.565
H 2.03732 -0.30411 -0.55808 0.237
H -4.28195 -1.72476 -1.20037 0.292
H -2.89986 -1.51887 -1.34120 0.268
H 2.59157 0.63046 1.48506 0.300
H -0.79725 -1.41309 -3.41157 0.331
H -1.43460 0.94374 -2.87931 0.182
H 0.48090 0.03851 0.35692 0.345
H -0.36418 1.34166 0.26518 0.252
H -0.17488 -2.79545 -3.15294 0.275
H 4.34100 1.82082 0.10765 0.321
H -3.75390 2.00472 0.37240 0.315
H -1.63308 -2.18927 2.79851 0.319
H -1.64018 -2.74226 4.23451 0.293
H 4.43862 -0.52122 2.40567 0.306
H 4.87356 0.13663 3.73763 0.282
H 3.03094 -0.62477 0.58143 0.287
H 1.30239 0.27229 2.08016 0.362
H -2.04780 2.73669 -2.65400 0.262
H -4.68366 0.69582 0.58792 0.315
H 4.36690 0.73289 -0.97243 0.341
H -2.43177 -0.07666 -2.52280 0.387
H -1.44975 3.46963 -1.53768 0.327
```

***

(2)
DFT (ωB97M-V/def2-TZVPD) results for a 11-piece molecular cluster, H22O11 overall in a non-equilibrium geometry.

Summary:
Molar mass, g/mol: 198.17
Gap between HOMO and LUMO, eV: 10.74
LUMO level, eV: 0.227
ΔE to the lowest compared entry with this formula, charge and spin, kJ/mol: 103.7
Multiplicity: 1
Total energy, hartree: -840.8406
HOMO energy, eV: -10.52
SMILES: O.O.O.O.O.O.O.O.O.O.O

```
33
Properties=species:S:1:pos:R:3:mulliken_charge:R:1
O -1.50123 -1.10307 -0.87993 -0.716
O 0.93248 -2.36940 -1.94545 -0.626
O 3.64027 -0.91120 -1.06371 -0.603
O 1.82784 1.21380 -1.97362 -0.659
O 0.12817 2.16452 0.66096 -0.716
O 1.63480 -0.21319 3.40491 -0.649
O -1.57175 1.65066 -1.45540 -0.707
O -0.91689 -1.30034 2.19415 -0.755
O -2.01338 1.06086 1.97564 -0.598
O -3.92134 0.18187 -1.94266 -0.612
O 1.40118 -0.52459 0.60413 -0.538
H -1.61103 -0.60076 2.40937 0.408
H 1.31203 -2.07627 -2.75850 0.293
H 2.20259 -0.34586 2.57345 0.347
H 3.19716 -0.95726 -1.99739 0.307
H 4.55899 -0.60689 -1.25988 0.284
H 0.51134 -0.84105 0.94396 0.319
H 1.87326 -1.35766 0.23206 0.332
H -2.43689 -1.16438 -1.16900 0.263
H 0.13652 -1.83918 -1.66304 0.391
H -4.88365 0.16157 -2.02796 0.278
H 2.17569 -0.51871 4.14005 0.286
H 1.08651 0.69224 -2.33935 0.328
H -0.99577 2.16193 -0.88332 0.393
H -1.17487 1.49757 1.82748 0.329
H -3.50642 1.00541 -1.83397 0.325
H -2.56317 1.79839 2.24016 0.284
H 2.23875 0.76372 -1.19110 0.342
└──

John Byrne: And I'm doing some pre interviews with some folks, sanctions experts, antiquities, protectors, and then next week, somebody who we've interviewed before, Gary Schiffman, who's a Giant Oak. He's written a very compelling article that I want to drill down with him on the ethics of AI adoption for compliance officers.

Really interesting thought piece in something called the Journal of Financial Compliance. We're going to do that interview on Monday and get posted in the following few weeks. So that's coming up too. And I have a few other irons in the fire as it were. And as always, if you have folks you'd like us to interview topics you'd like us to cover, please feel free to send Elliot and I emails or contact us in any way you can.

Elliot Berman: Thanks, John. You have a great weekend and I will talk to you next week.

John Byrne: All right. Take care, Elliot. See ya.

Elliot Berman: Bye bye.